- - -
#a
Al38O21 | PBE | optimized geometry

```
Al38O21
1.0
5.640 0.000 0.000
2.795 4.900 0.000
0.619 0.974 50.134
Al O
38 21
Direct
0.000 0.000 0.000 Al
0.000 0.499 0.000 Al
0.162 0.683 0.812 Al
0.166 0.171 0.953 Al
0.167 0.187 0.813 Al
0.167 0.672 0.953 Al
0.205 0.765 0.633 Al
0.212 0.566 0.526 Al
0.331 0.343 0.906 Al
0.331 0.843 0.906 Al
0.333 0.862 0.768 Al
0.335 0.161 0.617 Al
0.339 0.366 0.760 Al
0.450 0.016 0.709 Al
0.451 0.715 0.573 Al
0.482 0.487 0.677 Al
0.498 0.009 0.859 Al
0.498 0.509 0.859 Al
0.500 0.000 0.000 Al
0.500 0.500 0.000 Al
0.573 0.009 0.523 Al
0.598 0.726 0.468 Al
0.657 0.261 0.454 Al
0.661 0.182 0.813 Al
0.665 0.688 0.813 Al
0.666 0.671 0.953 Al
0.667 0.172 0.953 Al
0.789 0.299 0.620 Al
0.827 0.361 0.769 Al
0.831 0.343 0.906 Al
0.831 0.843 0.906 Al
0.834 0.868 0.762 Al
0.907 0.719 0.584 Al
0.924 0.211 0.509 Al
0.925 0.464 0.720 Al
0.939 0.945 0.692 Al
0.998 0.009 0.859 Al
0.998 0.509 0.859 Al
0.087 0.139 0.701 O
0.094 0.129 0.640 O
0.129 0.694 0.669 O
0.145 0.289 0.526 O
0.156 0.527 0.613 O
0.193 0.654 0.562 O
0.271 0.925 0.600 O
0.300 0.361 0.723 O
0.433 0.598 0.448 O
0.485 0.832 0.501 O
0.556 0.535 0.643 O
0.571 0.338 0.523 O
0.598 0.644 0.699 O
0.599 0.134 0.680 O
0.630 0.868 0.558 O
0.677 0.956 0.453 O
0.699 0.038 0.611 O
0.766 0.482 0.590 O
0.828 0.845 0.722 O
0.867 0.336 0.475 O
0.952 0.878 0.514 O
```

#b
Al38O21 | PBE | optimized geometry

```
Al38O21
1.0
5.613 0.000 0.000
-2.773 4.934 0.000
-0.743 -0.757 51.254
Al O
38 21
Direct
0.000 0.000 0.000 Al
0.000 0.500 0.000 Al
0.023 0.424 0.699 Al
0.108 0.318 0.768 Al
0.116 0.815 0.775 Al
0.142 0.318 0.909 Al
0.143 0.819 0.909 Al
0.200 0.699 0.640 Al
0.216 0.353 0.595 Al
0.269 0.998 0.480 Al
0.275 0.923 0.580 Al
0.289 0.142 0.819 Al
0.292 0.635 0.818 Al
0.306 0.659 0.535 Al
0.317 0.660 0.954 Al
0.321 0.162 0.954 Al
0.466 0.983 0.863 Al
0.467 0.479 0.864 Al
0.475 0.966 0.684 Al
0.500 0.002 0.000 Al
0.501 0.502 0.000 Al
0.506 0.410 0.727 Al
0.611 0.308 0.775 Al
0.616 0.822 0.768 Al
0.640 0.816 0.909 Al
0.644 0.318 0.909 Al
0.659 0.271 0.628 Al
0.739 0.085 0.468 Al
0.790 0.643 0.818 Al
0.793 0.136 0.818 Al
0.802 0.813 0.623 Al
0.813 0.519 0.512 Al
0.816 0.159 0.954 Al
0.820 0.662 0.954 Al
0.827 0.038 0.544 Al
0.948 0.935 0.715 Al
0.965 0.980 0.864 Al
0.968 0.483 0.863 Al
0.035 0.087 0.469 O
0.048 0.054 0.569 O
0.063 0.772 0.608 O
0.127 0.320 0.729 O
0.154 0.798 0.509 O
0.222 0.582 0.571 O
0.264 0.616 0.675 O
0.321 0.077 0.707 O
0.412 0.857 0.459 O
0.431 0.045 0.651 O
0.435 0.641 0.620 O
0.477 0.244 0.599 O
0.505 0.010 0.551 O
0.618 0.784 0.732 O
0.629 0.291 0.486 O
0.644 0.691 0.527 O
0.824 0.570 0.707 O
0.826 0.079 0.688 O
0.831 0.582 0.647 O
0.919 0.176 0.620 O
0.985 0.343 0.526 O
```

Computed energies relative to the best structure, in eV/atom: #a 0.007; #b 0.000

#a
Al3P2O16 | PBE | optimized geometry

```
Al3P2O16
1.0
7.787 0.000 0.000
-1.228 7.795 0.000
-2.821 -2.048 10.660
Al P O
6 4 32
Direct
0.067 0.344 0.293 Al
0.391 0.750 0.727 Al
0.418 0.853 0.282 Al
0.582 0.147 0.718 Al
0.609 0.250 0.273 Al
0.933 0.656 0.707 Al
0.326 0.439 0.121 P
0.362 0.178 0.448 P
0.638 0.822 0.552 P
0.674 0.561 0.879 P
0.019 0.675 0.396 O
0.124 0.606 0.345 O
0.152 0.653 0.649 O
0.167 0.726 0.788 O
0.183 0.352 0.181 O
0.185 0.251 0.411 O
0.197 0.825 0.155 O
0.254 0.409 0.980 O
0.256 0.098 0.920 O
0.258 0.084 0.811 O
0.319 0.983 0.386 O
0.380 0.639 0.181 O
0.418 0.204 0.592 O
0.452 0.983 0.776 O
0.488 0.720 0.598 O
0.500 0.365 0.164 O
0.500 0.635 0.836 O
0.512 0.280 0.402 O
0.548 0.017 0.224 O
0.582 0.796 0.408 O
0.620 0.361 0.819 O
0.681 0.017 0.614 O
0.742 0.916 0.189 O
0.744 0.902 0.080 O
0.746 0.591 0.020 O
0.803 0.175 0.845 O
0.815 0.749 0.589 O
0.817 0.648 0.819 O
0.833 0.274 0.212 O
0.848 0.347 0.351 O
0.876 0.394 0.655 O
0.981 0.325 0.604 O
```

#b
Al3P2O16 | PBE | optimized geometry

```
Al3P2O16
1.0
7.168 0.000 0.000
0.000 17.518 0.000
0.000 0.000 9.951
Al P O
12 8 64
Direct
0.137 0.018 0.230 Al
0.137 0.482 0.230 Al
0.154 0.250 0.788 Al
0.346 0.750 0.288 Al
- - -
Duplicate the contents earlier on word for word.
#a
Al38O21 | PBE | optimized geometry

```
Al38O21
1.0
5.640 0.000 0.000
2.795 4.900 0.000
0.619 0.974 50.134
Al O
38 21
Direct
0.000 0.000 0.000 Al
0.000 0.499 0.000 Al
0.162 0.683 0.812 Al
0.166 0.171 0.953 Al
0.167 0.187 0.813 Al
0.167 0.672 0.953 Al
0.205 0.765 0.633 Al
0.212 0.566 0.526 Al
0.331 0.343 0.906 Al
0.331 0.843 0.906 Al
0.333 0.862 0.768 Al
0.335 0.161 0.617 Al
0.339 0.366 0.760 Al
0.450 0.016 0.709 Al
0.451 0.715 0.573 Al
0.482 0.487 0.677 Al
0.498 0.009 0.859 Al
0.498 0.509 0.859 Al
0.500 0.000 0.000 Al
0.500 0.500 0.000 Al
0.573 0.009 0.523 Al
0.598 0.726 0.468 Al
0.657 0.261 0.454 Al
0.661 0.182 0.813 Al
0.665 0.688 0.813 Al
0.666 0.671 0.953 Al
0.667 0.172 0.953 Al
0.789 0.299 0.620 Al
0.827 0.361 0.769 Al
0.831 0.343 0.906 Al
0.831 0.843 0.906 Al
0.834 0.868 0.762 Al
0.907 0.719 0.584 Al
0.924 0.211 0.509 Al
0.925 0.464 0.720 Al
0.939 0.945 0.692 Al
0.998 0.009 0.859 Al
0.998 0.509 0.859 Al
0.087 0.139 0.701 O
0.094 0.129 0.640 O
0.129 0.694 0.669 O
0.145 0.289 0.526 O
0.156 0.527 0.613 O
0.193 0.654 0.562 O
0.271 0.925 0.600 O
0.300 0.361 0.723 O
0.433 0.598 0.448 O
0.485 0.832 0.501 O
0.556 0.535 0.643 O
0.571 0.338 0.523 O
0.598 0.644 0.699 O
0.599 0.134 0.680 O
0.630 0.868 0.558 O
0.677 0.956 0.453 O
0.699 0.038 0.611 O
0.766 0.482 0.590 O
0.828 0.845 0.722 O
0.867 0.336 0.475 O
0.952 0.878 0.514 O
```

#b
Al38O21 | PBE | optimized geometry

```
Al38O21
1.0
5.613 0.000 0.000
-2.773 4.934 0.000
-0.743 -0.757 51.254
Al O
38 21
Direct
0.000 0.000 0.000 Al
0.000 0.500 0.000 Al
0.023 0.424 0.699 Al
0.108 0.318 0.768 Al
0.116 0.815 0.775 Al
0.142 0.318 0.909 Al
0.143 0.819 0.909 Al
0.200 0.699 0.640 Al
0.216 0.353 0.595 Al
0.269 0.998 0.480 Al
0.275 0.923 0.580 Al
0.289 0.142 0.819 Al
0.292 0.635 0.818 Al
0.306 0.659 0.535 Al
0.317 0.660 0.954 Al
0.321 0.162 0.954 Al
0.466 0.983 0.863 Al
0.467 0.479 0.864 Al
0.475 0.966 0.684 Al
0.500 0.002 0.000 Al
0.501 0.502 0.000 Al
0.506 0.410 0.727 Al
0.611 0.308 0.775 Al
0.616 0.822 0.768 Al
0.640 0.816 0.909 Al
0.644 0.318 0.909 Al
0.659 0.271 0.628 Al
0.739 0.085 0.468 Al
0.790 0.643 0.818 Al
0.793 0.136 0.818 Al
0.802 0.813 0.623 Al
0.813 0.519 0.512 Al
0.816 0.159 0.954 Al
0.820 0.662 0.954 Al
0.827 0.038 0.544 Al
0.948 0.935 0.715 Al
0.965 0.980 0.864 Al
0.968 0.483 0.863 Al
0.035 0.087 0.469 O
0.048 0.054 0.569 O
0.063 0.772 0.608 O
0.127 0.320 0.729 O
0.154 0.798 0.509 O
0.222 0.582 0.571 O
0.264 0.616 0.675 O
0.321 0.077 0.707 O
0.412 0.857 0.459 O
0.431 0.045 0.651 O
0.435 0.641 0.620 O
0.477 0.244 0.599 O
0.505 0.010 0.551 O
0.618 0.784 0.732 O
0.629 0.291 0.486 O
0.644 0.691 0.527 O
0.824 0.570 0.707 O
0.826 0.079 0.688 O
0.831 0.582 0.647 O
0.919 0.176 0.620 O
0.985 0.343 0.526 O
```

Computed energies relative to the best structure, in eV/atom: #a 0.007; #b 0.000

#a
Al3P2O16 | PBE | optimized geometry

```
Al3P2O16
1.0
7.787 0.000 0.000
-1.228 7.795 0.000
-2.821 -2.048 10.660
Al P O
6 4 32
Direct
0.067 0.344 0.293 Al
0.391 0.750 0.727 Al
0.418 0.853 0.282 Al
0.582 0.147 0.718 Al
0.609 0.250 0.273 Al
0.933 0.656 0.707 Al
0.326 0.439 0.121 P
0.362 0.178 0.448 P
0.638 0.822 0.552 P
0.674 0.561 0.879 P
0.019 0.675 0.396 O
0.124 0.606 0.345 O
0.152 0.653 0.649 O
0.167 0.726 0.788 O
0.183 0.352 0.181 O
0.185 0.251 0.411 O
0.197 0.825 0.155 O
0.254 0.409 0.980 O
0.256 0.098 0.920 O
0.258 0.084 0.811 O
0.319 0.983 0.386 O
0.380 0.639 0.181 O
0.418 0.204 0.592 O
0.452 0.983 0.776 O
0.488 0.720 0.598 O
0.500 0.365 0.164 O
0.500 0.635 0.836 O
0.512 0.280 0.402 O
0.548 0.017 0.224 O
0.582 0.796 0.408 O
0.620 0.361 0.819 O
0.681 0.017 0.614 O
0.742 0.916 0.189 O
0.744 0.902 0.080 O
0.746 0.591 0.020 O
0.803 0.175 0.845 O
0.815 0.749 0.589 O
0.817 0.648 0.819 O
0.833 0.274 0.212 O
0.848 0.347 0.351 O
0.876 0.394 0.655 O
0.981 0.325 0.604 O
```

#b
Al3P2O16 | PBE | optimized geometry

```
Al3P2O16
1.0
7.168 0.000 0.000
0.000 17.518 0.000
0.000 0.000 9.951
Al P O
12 8 64
Direct
0.137 0.018 0.230 Al
0.137 0.482 0.230 Al
0.154 0.250 0.788 Al
0.346 0.750 0.288 Al